Elsewhere work sample
Hello Elsewhere folks!
On this page, you will find:
a link to my CV
my references (contact info included in full application)
my combination work sample
I hope you enjoy my work, and that you had a happy
and safe entry into the New Year.
Love, Katie
References (contact info included at the end of my submitted application)
Rob Neill, collaborator and Artistic Director of NY Neo-Futurists
Kathy Engel, professor at NYU Arts Politics (Tisch)
Kyra Sims, collaborator and NY Neo-Futurist
Work Sample (Combination)
The following four videos are experiments in creating digital theater during the pandemic. In addition to writing and creating videos, I also produced the monthly Twitch show CYBERWRENCH, a live-streamed interactive version of the NY Neo-Futurists’ in-person weekly show THE INFINITE WRENCH. Short films like these would be listed on a menu (along with live pieces) for the audience to choose the order of the show. All props in the following videos are found/crafted/recycled.
work in process: the granddaughter edit
The Granddaughter Edit (working title) is a series of blackout poems and text-based experiments using my late maternal grandmother’s 1,000+ page genealogy archive. Main themes/discoveries/explorations include women of Southern Appalachia, relationship between education and class, told/untold stories, and shared artmaking between living and dead.
meet me at the [edge.of.the.
Materials data, kept here for reference:
********
The following is a simulated powder X-ray diffraction pattern of LiAl2Zn2Ag. It was derived from DFT lattice parameters and positions (GGA-PBE), using λ = 1.5418 Å (Cu Kα).
Intensities are scaled so that the largest is 100.

a b c (Å): 6.5745 5.2339 6.7858
angles (deg): 90.00 113.35 90.00
Space group P2_1/m (No. 11)
Inequivalent atoms, fractional coordinates:
Li 0.1936 0.2500 0.2850 (multiplicity 2)
Al 0.3743 0.0015 0.7531 (multiplicity 4)
Zn 0.0467 0.2500 0.7905 (multiplicity 2)
Zn 0.3852 0.7500 0.4287 (multiplicity 2)
Ag 0.2230 0.7500 0.0047 (multiplicity 2)

Top 10 peaks for 2θ from 10° to 90°, in order of rising 2θ:
(0 0 1), 14.2°, rel. 36
(0 1 1), 22.2°, rel. 58
(1 1 0), 22.5°, rel. 100
(1 1 1), 29.7°, rel. 32
(0 2 0), 34.3°, rel. 53
(1 1 2), 41.3°, rel. 79
(2 0 -3), 41.9°, rel. 59
(1 1 -3), 43.7°, rel. 44
(2 2 -1), 44.3°, rel. 44
(3 1 -1), 45.0°, rel. 49

* * * * *

Structure and theoretical powder diffraction line list of LaYSc2Os (a cell relaxed with PBE; Cu Kα (λ = 1.5418 Å)).

Top 10 peaks for 10° ≤ 2θ ≤ 90°, low angle first:
(hkl)  two_theta  d_spacing  Rel. int.
1 0 0  17.21  5.151  40
1 0 1  23.80  3.738  100
1 1 0  24.44  3.642  92
0 0 2  32.98  2.716  52
2 0 0  34.83  2.576  90
1 1 2  41.47  2.177  47
2 1 1  42.63  2.121  44
2 0 2  48.72  1.869  69
2 2 0  50.09  1.821  32
2 2 2  61.28  1.513  34

Crystal structure
```
LaYSc2Os
1.0
5.1513 0.0000 0.0000
0.0000 5.1513 0.0000
0.0000 0.0000 5.4322
La Y Sc Os
1 1 2 1
direct
0.0000 0.0000 0.0000
0.5000 0.5000 0.0000
0.0000 0.5000 0.5000
0.5000 0.0000 0.5000
0.5000 0.5000 0.5000
```

* * * * *

# 1
Starting from the GGA-PBE geometry in Alexandria, the PXRD pattern of Na4B7C was calculated for Cu Kα (weighted mean of Kα1 and Kα2).
Kinematic intensities with the Lorentz-polarization factor, no thermal factor.

Main lines, in order of rising 2θ (5° ≤ 2θ ≤ 70°):
2theta	d/Å	intensity	(hkl)
20.5	4.336	27	4 0 0
33.6	2.667	129	2 0 -4
35.7	2.516	180	1 1 -2
39.7	2.271	520	2 0 4
41.5	2.176	1000	3 1 2
41.7	2.168	370	8 0 0
54.5	1.684	33	10 0 -4
54.6	1.681	32	6 0 4
56.0	1.642	101	7 1 2
61.4	1.509	187	3 1 -6
65.4	1.427	79	0 2 0
65.5	1.425	24	7 1 -6

Structural model:
Unit cell a=18.155 b=2.854 c=10.667 alpha=90.00 beta=107.19 gamma=90.00
Space group C2/m (No. 12)
Inequivalent atoms, fractional coordinates:
1 Na 0.000 0.000 0.000 x2
2 Na 0.000 0.000 0.500 x2
3 Na 0.002 0.500 0.252 x4
4 Na 0.249 0.000 0.124 x4
5 Na 0.249 0.500 0.375 x4
6 B 0.125 0.000 0.234 x4
7 B 0.125 0.000 0.397 x4
8 B 0.125 0.000 0.879 x4
9 B 0.125 0.500 0.137 x4
10 B 0.125 0.500 0.491 x4
11 B 0.125 0.500 0.657 x4
12 B 0.125 0.500 0.975 x4
13 C 0.125 0.000 0.729 x4

# 2
Starting from the GGA-PBE geometry in Alexandria, the PXRD pattern of Na5B9C was calculated for Cu Kα (weighted mean of Kα1 and Kα2).
Kinematic intensities with the Lorentz-polarization factor, no thermal factor.

Main lines, in order of rising 2θ (5° ≤ 2θ ≤ 70°):
2theta	d/Å	intensity	(hkl)
10.0	8.888	74	0 0 5
34.5	2.602	398	1 0 0
36.0	2.498	125	1 0 5
********
Back to the piece:
meet me at the [edge.of.the.woods] is a site-specific performance I created/facilitated for the North Carolina Governor’s School. In the campus botanical garden, the theater students performed 1-on-1 pieces built from the prompt- “tell me about a time you thought something was simple, but it was much more complicated than you knew.” The audience could choose their own path, so every audience member heard different stories in a different order. The piece ended with the performers and audience gathered together for an improvisation exercise (pictured).
The Secret Palace
The Secret Palace is a portable secret-sharing booth and performance piece. Initially created for the NY Neo-Futurists’ THE INFINITE WRENCH, it is made entirely with recycled/found materials and collapses down to be easily carried on the NYC subway. I invited audience members to write down their secrets, and I read them aloud later in the performance, adding them to the inside of the booth.
work in process: Reasons to
Stay Alive
Reasons to Stay Alive is a performance created during my graduate research at NYU under Karen Finley. After multiple student suicides at my undergraduate alma mater, UNC Chapel Hill, I researched university responses to similar crises. This performance imagined what a more compassionate university response to student mental health crisis might look like, then invited the audience to write their own reasons to stay alive on ribbons and sew them onto my graduation gown.
Thanks for taking the time to engage with my work! Feel free to peruse the rest of my website, read more of my writing on my Medium site, or stay in touch on Instagram. I’m taking January to rework my website a bit, but this page will remain accessible to folks with the link. Best of luck with your search.
- Katie